## Activity
Next, restate the listing further down exactly.
## Source
No. 1
Starting from the GGA-PBE geometry in Alexandria, the powder diffractogram of YScP2Ir5 was simulated for Cu Kα (weighted mean of Kα1 and Kα2).

Structural model:
```
data_YScP2Ir5
_chemical_formula_sum 'Y1 Sc1 P2 Ir5'
_symmetry_space_group_name_H-M 'P 1'
_symmetry_Int_Tables_number 1
_cell_length_a 4.002
_cell_length_b 4.002
_cell_length_c 10.656
_cell_angle_alpha 90.00
_cell_angle_beta 90.00
_cell_angle_gamma 90.00
loop_
_symmetry_equiv_pos_as_xyz
'x,y,z'
loop_
_atom_site_label
_atom_site_type_symbol
_atom_site_fract_x
_atom_site_fract_y
_atom_site_fract_z
Y1 Y 0.000 0.000 0.000
Sc1 Sc 0.000 0.000 0.500
P1 P 0.500 0.500 0.214
P2 P 0.500 0.500 0.786
Ir1 Ir 0.000 0.500 0.317
Ir2 Ir 0.000 0.500 0.683
Ir3 Ir 0.500 0.000 0.317
Ir4 Ir 0.500 0.000 0.683
Ir5 Ir 0.500 0.500 0.000
```

Largest 10 diffraction maxima, in order of rising 2θ, 2θ = 10–90°:
2theta, intensity
25.1, 88.2
32.7, 66.7
35.9, 100.0
40.8, 33.5
45.3, 56.9
52.5, 48.8
53.9, 47.0
71.0, 20.0
71.8, 19.3
77.5, 21.8

No. 2
Starting from the GGA-PBE geometry in Alexandria, the powder diffractogram of Dy7Co2Au2 was simulated for Cu Kα (weighted mean of Kα1 and Kα2).

Structural model:
```
data_Dy7Co2Au2
_chemical_formula_sum 'Dy7 Co2 Au2'
_symmetry_space_group_name_H-M 'P 1'
_symmetry_Int_Tables_number 1
_cell_length_a 6.592
_cell_length_b 6.592
_cell_length_c 6.892
_cell_angle_alpha 90.00
_cell_angle_beta 90.00
_cell_angle_gamma 109.48
loop_
_symmetry_equiv_pos_as_xyz
'x,y,z'
loop_
_atom_site_label
_atom_site_type_symbol
_atom_site_fract_x
_atom_site_fract_y
_atom_site_fract_z
Dy1 Dy 0.000 0.000 0.000
Dy2 Dy 0.000 0.500 0.250
Dy3 Dy 0.000 0.500 0.750
Dy4 Dy 0.500 0.000 0.250
Dy5 Dy 0.500 0.000 0.750
Dy6 Dy 0.500 0.500 0.243
Dy7 Dy 0.500 0.500 0.757
Co1 Co 0.293 0.707 0.000
Co2 Co 0.707 0.293 0.000
Au1 Au 0.187 0.187 0.500
Au2 Au 0.813 0.813 0.500
```

Largest 10 diffraction maxima, in order of rising 2θ, 2θ = 10–90°:
2theta, intensity
26.8, 32.3
28.7, 43.7
29.6, 53.3
30.8, 39.9
33.3, 68.2
38.1, 40.0
39.0, 100.0
53.2, 19.6
63.3, 19.9
64.2, 20.5

No. 3
Starting from the GGA-PBE geometry in Alexandria, the powder diffractogram of TbNp2RhN4 was simulated for Cu Kα (weighted mean of Kα1 and Kα2).

Structural model:
```
data_TbNp2RhN4
_chemical_formula_sum 'Tb2 Np4 Rh2 N8'
_symmetry_space_group_name_H-M 'P 1'
_symmetry_Int_Tables_number 1
_cell_length_a 5.896
_cell_length_b 5.896
_cell_length_c 11.592
_cell_angle_alpha 90.00
_cell_angle_beta 90.00
_cell_angle_gamma 146.11
loop_
_symmetry_equiv_pos_as_xyz
'x,y,z'
loop_
_atom_site_label
_atom_site_type_symbol
_atom_site_fract_x
_atom_site_fract_y
_atom_site_fract_z
Tb1 Tb 0.109 0.891 0.750
Tb2 Tb 0.891 0.109 0.250
Np1 Np 0.372 0.628 0.557
Np2 Np 0.372 0.628 0.943
Np3 Np 0.628 0.372 0.057
Np4 Np 0.628 0.372 0.443
Rh1 Rh 0.153 0.847 0.250
Rh2 Rh 0.847 0.153 0.750
N1 N 0.000 0.000 0.000
N2 N 0.000 0.000 0.500
N3 N 0.269 0.731 0.103
N4 N 0.269 0.731 0.397
N5 N 0.463 0.537 0.750
N6 N 0.537 0.463 0.250
N7 N 0.731 0.269 0.603
N8 N 0.731 0.269 0.897
```

Largest 10 diffraction maxima, in order of rising 2θ, 2θ = 10–90°:
2theta, intensity
28.0, 84.1
31.3, 100.0
31.7, 62.5
35.9, 28.3
36.2, 25.5
38.7, 77.1
42.1, 23.1
48.0, 23.6
50.9, 25.2
53.5, 24.9

No. 4
Starting from the GGA-PBE geometry in Alexandria, the powder diffractogram of ScGeSbRh2 was simulated for Cu Kα (weighted mean of Kα1 and Kα2).

Structural model:
```
data_ScGeSbRh2
_chemical_formula_sum 'Sc1 Ge1 Sb1 Rh2'
_symmetry_space_group_name_H-M 'P 1'
_symmetry_Int_Tables_number 1
_cell_length_a 4.686
_cell_length_b 4.686
_cell_length_c 5.371
_cell_angle_alpha 90.00
_cell_angle_beta 90.00
_cell_angle_gamma 90.00
loop_
_symmetry_equiv_pos_as_xyz
'x,y,z'
loop_
_atom_site_label
_atom_site_type_symbol
_atom_site_fract_x
_atom_site_fract_y
_atom_site_fract_z
Sc1 Sc 0.000 0.000 0.000
Ge1 Ge 0.500 0.500 0.500
Sb1 Sb 0.000 0.000 0.500
Rh1 Rh 0.000 0.500 0.000
Rh2 Rh 0.500 0.000 0.000
```

Largest 10 diffraction maxima, in order of rising 2θ, 2θ = 10–90°:
2theta, intensity
18.9, 11.6
## Solution
No. 1
Starting from the GGA-PBE geometry in Alexandria, the powder diffractogram of YScP2Ir5 was simulated for Cu Kα (weighted mean of Kα1 and Kα2).

Structural model:
```
data_YScP2Ir5
_chemical_formula_sum 'Y1 Sc1 P2 Ir5'
_symmetry_space_group_name_H-M 'P 1'
_symmetry_Int_Tables_number 1
_cell_length_a 4.002
_cell_length_b 4.002
_cell_length_c 10.656
_cell_angle_alpha 90.00
_cell_angle_beta 90.00
_cell_angle_gamma 90.00
loop_
_symmetry_equiv_pos_as_xyz
'x,y,z'
loop_
_atom_site_label
_atom_site_type_symbol
_atom_site_fract_x
_atom_site_fract_y
_atom_site_fract_z
Y1 Y 0.000 0.000 0.000
Sc1 Sc 0.000 0.000 0.500
P1 P 0.500 0.500 0.214
P2 P 0.500 0.500 0.786
Ir1 Ir 0.000 0.500 0.317
Ir2 Ir 0.000 0.500 0.683
Ir3 Ir 0.500 0.000 0.317
Ir4 Ir 0.500 0.000 0.683
Ir5 Ir 0.500 0.500 0.000
```

Largest 10 diffraction maxima, in order of rising 2θ, 2θ = 10–90°:
2theta, intensity
25.1, 88.2
32.7, 66.7
35.9, 100.0
40.8, 33.5
45.3, 56.9
52.5, 48.8
53.9, 47.0
71.0, 20.0
71.8, 19.3
77.5, 21.8

No. 2
Starting from the GGA-PBE geometry in Alexandria, the powder diffractogram of Dy7Co2Au2 was simulated for Cu Kα (weighted mean of Kα1 and Kα2).

Structural model:
```
data_Dy7Co2Au2
_chemical_formula_sum 'Dy7 Co2 Au2'
_symmetry_space_group_name_H-M 'P 1'
_symmetry_Int_Tables_number 1
_cell_length_a 6.592
_cell_length_b 6.592
_cell_length_c 6.892
_cell_angle_alpha 90.00
_cell_angle_beta 90.00
_cell_angle_gamma 109.48
loop_
_symmetry_equiv_pos_as_xyz
'x,y,z'
loop_
_atom_site_label
_atom_site_type_symbol
_atom_site_fract_x
_atom_site_fract_y
_atom_site_fract_z
Dy1 Dy 0.000 0.000 0.000
Dy2 Dy 0.000 0.500 0.250
Dy3 Dy 0.000 0.500 0.750
Dy4 Dy 0.500 0.000 0.250
Dy5 Dy 0.500 0.000 0.750
Dy6 Dy 0.500 0.500 0.243
Dy7 Dy 0.500 0.500 0.757
Co1 Co 0.293 0.707 0.000
Co2 Co 0.707 0.293 0.000
Au1 Au 0.187 0.187 0.500
Au2 Au 0.813 0.813 0.500
```

Largest 10 diffraction maxima, in order of rising 2θ, 2θ = 10–90°:
2theta, intensity
26.8, 32.3
28.7, 43.7
29.6, 53.3
30.8, 39.9
33.3, 68.2
38.1, 40.0
39.0, 100.0
53.2, 19.6
63.3, 19.9
64.2, 20.5

No. 3
Starting from the GGA-PBE geometry in Alexandria, the powder diffractogram of TbNp2RhN4 was simulated for Cu Kα (weighted mean of Kα1 and Kα2).

Structural model:
```
data_TbNp2RhN4
_chemical_formula_sum 'Tb2 Np4 Rh2 N8'
_symmetry_space_group_name_H-M 'P 1'
_symmetry_Int_Tables_number 1
_cell_length_a 5.896
_cell_length_b 5.896
_cell_length_c 11.592
_cell_angle_alpha 90.00
_cell_angle_beta 90.00
_cell_angle_gamma 146.11
loop_
_symmetry_equiv_pos_as_xyz
'x,y,z'
loop_
_atom_site_label
_atom_site_type_symbol
_atom_site_fract_x
_atom_site_fract_y
_atom_site_fract_z
Tb1 Tb 0.109 0.891 0.750
Tb2 Tb 0.891 0.109 0.250
Np1 Np 0.372 0.628 0.557
Np2 Np 0.372 0.628 0.943
Np3 Np 0.628 0.372 0.057
Np4 Np 0.628 0.372 0.443
Rh1 Rh 0.153 0.847 0.250
Rh2 Rh 0.847 0.153 0.750
N1 N 0.000 0.000 0.000
N2 N 0.000 0.000 0.500
N3 N 0.269 0.731 0.103
N4 N 0.269 0.731 0.397
N5 N 0.463 0.537 0.750
N6 N 0.537 0.463 0.250
N7 N 0.731 0.269 0.603
N8 N 0.731 0.269 0.897
```

Largest 10 diffraction maxima, in order of rising 2θ, 2θ = 10–90°:
2theta, intensity
28.0, 84.1
31.3, 100.0
31.7, 62.5
35.9, 28.3
36.2, 25.5
38.7, 77.1
42.1, 23.1
48.0, 23.6
50.9, 25.2
53.5, 24.9

No. 4
Starting from the GGA-PBE geometry in Alexandria, the powder diffractogram of ScGeSbRh2 was simulated for Cu Kα (weighted mean of Kα1 and Kα2).

Structural model:
```
data_ScGeSbRh2
_chemical_formula_sum 'Sc1 Ge1 Sb1 Rh2'
_symmetry_space_group_name_H-M 'P 1'
_symmetry_Int_Tables_number 1
_cell_length_a 4.686
_cell_length_b 4.686
_cell_length_c 5.371
_cell_angle_alpha 90.00
_cell_angle_beta 90.00
_cell_angle_gamma 90.00
loop_
_symmetry_equiv_pos_as_xyz
'x,y,z'
loop_
_atom_site_label
_atom_site_type_symbol
_atom_site_fract_x
_atom_site_fract_y
_atom_site_fract_z
Sc1 Sc 0.000 0.000 0.000
Ge1 Ge 0.500 0.500 0.500
Sb1 Sb 0.000 0.000 0.500
Rh1 Rh 0.000 0.500 0.000
Rh2 Rh 0.500 0.000 0.000
```

Largest 10 diffraction maxima, in order of rising 2θ, 2θ = 10–90°:
2theta, intensity
18.9, 11.6